At the Taranaki Health Foundation, we talk a lot about Taranaki deserving the best healthcare and not settling for the standard, but what does that actually mean?
The Renal Unit, Te Huhi Raupō, at Taranaki Base Hospital is a fantastic example of what can be achieved when we don't just settle for the standard. The unit is designed to feel less like a clinical space and give patients a warm and inviting place to receive their treatment. And this has be recognised on the international stage, having won the following awards for design, architecture and sustainability:
- Healthcare Environment Awards winner
- Excellence in both the Civic, Health & Arts category and the Green Building category at the New Zealand Rider Levett Bucknall Property Industry Awards.
- Winner of the public architecture category at the 2023 Western Architecture Awards
- Winner of the prestigious Healthcare Design (under 25,000m2) trophy in the European Healthcare Design Awards 2023.
- Highly commended in the Design for Health & Wellness category at the European HealthcareDesign Awards 2023.
- Winner of a Public Architecture Award at the Te Kāhui Whaihanga New Zealand Institute of Architects Western Award
Community is the key
Healthcare facilities like this don't just happen. They are achievable because of the incredible support we receive from businesses and the community in the region. Taranaki crafted sheet metal engineers Rivet Ltd have been a long-time supporter of the Taranaki Health Foundation, and they didn't hesitate to become involved in this project.
“Rivet has been involved with the Foundation since 2016, first involved with the mobility garden and now this latest project here at the renal unit,” says Steve Scott, Rivet Ltd Managing Director. “We always look to support things that support families and our community."
Someone pasted calculated molecules at this point
Entry from OMol25: C17H21BrCl2O4Sn as an isolated structure (ωB97M-V/def2-TZVPD).

ORCA input file:
```
! wB97M-V def2-TZVPD RIJCOSX def2/J DEFGRID3
* xyz -2 1
C 2.199 0.648 0.578
C 2.189 0.943 -0.842
C 2.064 -0.288 -1.545
C 2.364 2.280 -1.473
C 2.081 -1.359 -0.594
C 2.167 -0.794 0.722
C 2.198 -1.543 1.997
C 2.372 1.622 1.681
C 1.978 -0.430 -3.019
C 1.979 -2.802 -0.918
Sn -0.598 0.296 0.532
Cl -0.996 3.753 -3.246
Cl -0.372 2.583 -0.164
O -0.537 -1.665 -0.093
H 2.227 3.084 -0.732
H 1.643 2.425 -2.301
H 3.385 2.378 -1.887
H 1.428 0.420 -3.458
H 1.466 -1.365 -3.294
H 3.004 -0.441 -3.428
H 1.270 -2.969 -1.745
H 1.644 -3.372 -0.038
H 2.975 -3.172 -1.219
H 1.591 -2.457 1.917
H 1.789 -0.926 2.807
H 3.239 -1.823 2.229
H 1.873 2.570 1.444
H 3.447 1.816 1.838
H 1.951 1.207 2.606
H -1.372 -2.083 -0.402
O -0.352 -0.117 2.453
H -1.085 -0.688 2.726
Br -3.694 -1.186 -2.833
C -4.957 -0.405 -1.648
C -6.315 -0.606 -1.948
C -7.310 -0.074 -1.108
C -6.965 0.649 0.046
C -5.614 0.851 0.325
C -4.598 0.379 -0.503
C -3.211 0.593 -0.052
O -2.951 1.075 1.101
O -2.318 0.198 -0.872
H -6.577 -1.170 -2.856
H -8.351 -0.251 -1.387
H -7.737 1.064 0.696
H -5.299 1.387 1.210
*
```

ΔE to the lowest compared entry with this formula, charge and spin   68.94 kJ/mol
M   558.872 g mol⁻¹
HOMO-LUMO gap   4.7 eV
HOMO   -0.517 eV
Maximum force   2.21 eV Å⁻¹
Here the text continues
“We get involved very early on. The artists knew what they wanted, they wanted to use a material that was particular to Taranaki and to the hospital, of course that’s stainless steel."
Rivet Ltd donated all the artistic steelwork in Te Huhi Raupō as an in-kind donation. In-kind donations like this are where a real difference can be made and where we move from having standard healthcare facilities to the best.
“A dollar raised or a dollar saved has the same benefit,” says Adrian Sole, General Manager, Taranaki Health Foundation. “Some of the nice finer details that make a big difference to staff wellbeing and patient enjoyment get cut because the funds have to go into functional stuff.”
This is just the beginning
Te Huhi Raupō is a blueprint for the future of healthcare services in Taranaki. The New East Wing Building and the Taranaki Cancer Care Centre are both scheduled to be opened in 2025. Both of these buildings aim to follow in the footsteps of the Renal Unit, providing a holistic approach to patient care whilst being climate-conscious and shifting the expectations of what is achievable.
Adrian says Taranaki Health Foundation partners have been giving in-kind donations since 2013. "If you’re interested in following in the footsteps of Rivet and you’ve got goods or services, it could be electrical, plumbing, painting, fabrication, or you’ve got a new product that might be the right fit and you’d like to launch it, or you just want to understand more about how you could fit in, it could even be through volunteering, give me or the team a call and we’ll have a coffee, have a chat and see how it would work for you.”
“It’s about all of us pitching in, helping clients, just having a go and making a difference,” Steve says.
If you would like to know more about how you, or your business can be involved in making a difference where it matters most, contact our Donor Relationship Managers:
Heather Kadlec
Email me
027 447 4659
Grant Carter
Email me
027 248 4044